Trial Status: Closed to recruitment, in follow up
Weight-bearing in Ankle Fractures
Dedicated Trial Website
For more information on this trial including the results which we found, please visit the dedicated trial paper!
........
Entry 1:
........
There are around 170 ankle fractures each day in the UK. Many of these injuries heal with support in a plaster cast or splint, but some require surgery to restore the natural alignment of the bones and fix them in place with screws and plates. This promotes good ankle function once the fracture has healed.
Following surgery for an ankle fracture, patients are commonly told not to walk on the affected leg for six weeks in order to allow the bones to heal. Whilst restricting the weight put through the affected leg might reduce the chance of surgical complications, including infection, breakage of the plates and screws and loss of alignment requiring revision surgery, it has been associated with problems such as blood clots, muscle weakness, stiffness and poorer recovery. It is unclear that the traditional six weeks period of limited walking is of any benefit. A recent national review found that surgeons gave patients very varied instructions following ankle fracture surgery, indicating that overall, UK surgeons have differing opinions about best treatment.
There has been little high quality research in this area. The National Institute for Health and Care Excellence (NICE) and the James Lind Alliance Priority Setting Partnerships have identified this question as one of their top priorities for research in trauma. This study aims to find out whether patients who have had surgery for an ankle fracture should walk on their operated leg following surgery or wait 6 weeks before bearing weight on that side.
This study will include patients undergoing surgery for an ankle fracture. All patients will be treated non-weight bearing until their two-week postoperative follow-up visit. They will then be instructed to either begin weight bearing on the affected leg, or remain non-weight bearing. The decision with regards the group they will enter will be made by chance using a computer program so that neither patients nor surgeons can influence the choice. All other care will be as per usual treatment. Participants will report how well their ankle is working and their quality of life using questionnaires at different intervals over the first year following surgery. Differences in healthcare costs will also be compared.
Patients and members of the public have led in designing the trial, deciding on outcome measures and considering other factors such as out-of-pocket expenses. Their continued involvement in the day-to-day management of the study will ensure the information given to participants is accurate and understandable and that results reflect patient priorities.
[Next to the article, the page also holds molecular data]
No. 1
Below is 7 unconnected molecules or ions with the total composition C24H41IN9O2 in a non-equilibrium geometry, with properties calculated with the ωB97M-V functional and the def2-TZVPD basis.

- charge = +1
- frontier orbital gap (eV) = 7.5
- multiplicity = 1

Each line ends with the Löwdin charge.
Geometry (Å):
C -2.891 -4.196 2.494  0.0640
C -2.734 -3.036 1.639  -0.1204
N -1.388 -2.550 1.205  0.1346
C -0.525 -3.293 0.506  -0.3363
N 0.799 -2.808 0.145  0.0398
C 1.469 -2.048 1.242  -0.1830
C 1.352 -0.445 0.993  -0.1867
C 2.188 0.040 -0.306  -0.1415
C 1.265 0.658 -1.457  -0.1700
O 0.360 1.702 -0.955  -0.0904
C -0.837 1.744 -1.719  -0.4163
C -2.021 0.686 -1.575  -0.0280
O -0.956 2.680 -2.533  0.0745
N -0.876 -4.656 0.132  0.0316
C -1.422 -4.785 -1.265  -0.6642
I -1.712 -2.912 -2.334  0.9742
C -2.755 -5.693 -1.332  -0.2681
C -4.052 -5.005 -0.707  -0.1441
H -3.202 -4.147 3.582  0.0915
H -2.611 -5.196 1.999  0.0666
H -3.665 -2.457 1.300  0.1345
H -1.165 -1.583 1.507  0.1572
H 0.809 -2.297 -0.748  0.0730
H 2.572 -2.283 1.375  0.1297
H 0.962 -2.218 2.261  0.1309
H 1.831 0.103 1.882  0.0919
H 0.263 -0.086 0.975  0.0857
H 2.684 -0.915 -0.720  0.1022
H 3.009 0.776 -0.034  0.1228
H 0.711 -0.145 -2.054  0.1181
H 1.981 1.162 -2.206  0.1319
H -2.254 0.220 -2.600  0.0766
H -1.788 -0.152 -0.822  0.0333
H -2.940 1.265 -1.242  0.1024
H -0.011 -5.227 0.161  0.1443
H -0.633 -5.374 -1.861  0.1052
H -3.008 -5.995 -2.404  0.1147
H -2.543 -6.663 -0.746  0.0966
H -4.232 -5.423 0.342  0.0584
H -4.020 -3.871 -0.646  0.0253
H -4.991 -5.273 -1.309  0.0925
C -0.609 3.998 1.580  -0.0811
C 0.114 2.886 2.273  -0.2199
N 0.681 2.011 2.818  0.1177
H -0.926 3.672 0.588  0.0596
H -1.487 4.287 2.158  0.0613
H 0.047 4.861 1.478  0.0494
C 4.442 -0.476 -4.071  -0.0570
C 3.620 -1.636 -3.602  -0.2528
N 2.976 -2.549 -3.236  0.1128
H 3.854 0.442 -4.013  0.0700
H 5.328 -0.372 -3.444  0.0834
H 4.753 -0.636 -5.104  0.0847
C 0.493 8.676 1.922  -0.0604
C -0.346 7.517 2.361  -0.2136
N -1.006 6.606 2.706  0.1154
H -0.083 9.599 1.998  0.0876
H 1.381 8.755 2.558  0.0010
H 0.807 8.535 0.886  0.0781
C -1.997 -9.792 0.465  -0.0639
C -3.081 -8.946 1.059  -0.2564
N -3.933 -8.285 1.530  0.1194
H -1.321 -10.133 1.250  0.0820
H -2.435 -10.660 -0.030  0.0843
H -1.432 -9.212 -0.266  0.0684
C 0.088 5.517 -2.500  -0.0893
C 0.597 6.913 -2.693  -0.2564
N 0.996 8.007 -2.843  0.1095
H -0.867 5.540 -1.975  0.0751
H -0.050 5.034 -3.468  0.0721
H 0.804 4.939 -1.914  0.0691
C 4.553 7.058 3.177  -0.0549
C 3.735 8.306 3.288  -0.2170
N 3.093 9.287 3.375  0.1275
H 5.141 7.081 2.259  0.0804
H 5.228 6.981 4.031  0.0820
H 3.898 6.186 3.161  0.0771

***

No. 2
Below is a molecular structure, C24H21ClN2PTi in a non-equilibrium geometry, with properties calculated with the ωB97M-V functional and the def2-TZVPD basis.

- expectation value of S² = 0.757
- charge = +2
- frontier orbital gap (alpha / beta) (eV) = 6.0 / 6.2
- multiplicity = 2

Each line ends with the Löwdin charge.
Geometry (Å):
Ti 0.517 1.298 1.246  0.7909
[So much for the molecular data]
The published results will inform NICE recommendations and will influence clinical practice. Patients and members of the public will help design a publicity strategy so that the results of the study are distributed outside of the routine scientific literature.
Aims and objectives
To determine whether functional outcomes at 4 months are not worse in people who are allowed to weight-bear at 2 weeks following surgery for an unstable ankle fracture compared to those waiting 6 weeks before weight-bearing.
1. To quantify and draw inferences on observed differences in ankle function between the trial treatment groups in the first 12 months post-surgery.
2. To quantify and draw inferences on observed differences in health-related quality of life between the trial and treatment groups in the first 12 months post-surgery.
3. To investigate the risk of adverse events between the trial treatment groups in the first 12 months post-surgery.
-- Next to the entry, the page also holds molecular data --
┌──
Below is a cluster of 7 separate species, C38H37N5O14 in total in a non-equilibrium geometry, with properties calculated with ωB97M-V/def2-TZVPD.

Summary:
LUMO energy in eV: -0.79
Orbital gap in eV: 8.7180
Electronic energy in eV: -76108.1343

Cartesian coordinates (Å):
O  37.761871  -25.390764  -37.479466
N  37.607032  -24.183354  -37.447926
O  37.486862  -23.577246  -36.403086
C  37.478886  -23.449136  -38.701559
C  36.972651  -24.075552  -39.831634
C  37.052142  -23.479507  -41.072502
C  37.462739  -22.161766  -41.144059
C  37.915490  -21.490211  -40.019294
C  37.968333  -22.145357  -38.796875
H  36.644619  -25.103493  -39.725186
H  36.716769  -23.908617  -42.006953
H  37.501565  -21.723611  -42.134497
H  38.164236  -20.442143  -40.123637
H  38.451404  -21.737448  -37.918087
O  40.097130  -21.080977  -32.084157
N  40.197314  -19.985025  -32.594910
O  40.038365  -18.929789  -32.005642
C  40.539413  -19.909060  -34.029540
C  40.276303  -20.943083  -34.891574
C  40.506425  -20.799776  -36.248941
C  41.093584  -19.633499  -36.710493
C  41.366656  -18.558797  -35.847911
C  41.093758  -18.730233  -34.505715
H  39.812720  -21.871644  -34.575959
H  40.364329  -21.654582  -36.895619
H  41.395328  -19.471130  -37.739020
H  41.926244  -17.710140  -36.210617
H  41.349872  -17.988949  -33.755796
O  34.464412  -20.993918  -34.846443
N  34.411313  -20.748991  -36.037005
O  33.534930  -21.208784  -36.747556
C  35.353678  -19.811441  -36.607650
C  35.111431  -19.291457  -37.887035
C  36.079899  -18.490048  -38.430376
C  37.236645  -18.119825  -37.719770
C  37.464756  -18.642933  -36.468154
C  36.505835  -19.505735  -35.916331
H  34.175210  -19.596406  -38.334871
H  35.960231  -18.119001  -39.441100
H  37.928928  -17.496745  -38.269557
H  38.409034  -18.436691  -35.981295
H  36.681490  -19.975185  -34.955834
O  40.739379  -24.354910  -35.616394
N  41.115948  -25.060349  -36.535669
O  41.188376  -24.669416  -37.685500
C  41.547763  -26.415665  -36.229259
C  41.154633  -26.945518  -35.010567
C  41.425998  -28.275855  -34.709123
C  42.183278  -28.986843  -35.641687
C  42.556556  -28.474900  -36.879759
C  42.178666  -27.168518  -37.201345
H  40.549146  -26.405376  -34.296620
H  41.074324  -28.719537  -33.792101
H  42.302031  -30.050972  -35.461967
H  42.889362  -29.144271  -37.658858
H  42.432137  -26.780776  -38.176317
O  32.073918  -25.235988  -40.431424
N  33.116901  -25.505326  -39.886776
O  34.035153  -26.110137  -40.382679
C  33.265755  -25.043835  -38.491398
C  34.292951  -25.511657  -37.698189
C  34.374513  -25.160967  -36.367177
C  33.407915  -24.328141  -35.817922
C  32.322546  -23.899427  -36.588113
C  32.272249  -24.241071  -37.932244
H  35.000978  -26.201969  -38.143517
H  35.227979  -25.369496  -35.734619
H  33.578845  -24.001467  -34.800059
H  31.586119  -23.212086  -36.201549
H  31.573405  -23.789357  -38.621944
O  33.707225  -20.545749  -31.392589
C  34.605716  -19.759245  -31.432280
C  34.675496  -18.420557  -30.708007
└──
4. To investigate the resource use, costs and comparative cost effectiveness between the trial treatment groups in the first 12 months post-surgery.
5. Perform a process evaluation to understand the generalisability and acceptability of the trial.
Study Design
Multi-centre, multi-surgeon, parallel, two arm, randomised non-inferiority trial.